**Material:**
-- begin --
ORCA calculation (ωB97M-V/def2-TZVPD) on a 9-piece molecular cluster, C5H25NO9 overall at a distorted geometry.

Each line ends with the Löwdin charge.
Positions of all 40 atoms, in Å:
C (-0.7035, -1.6824, 2.7815)  -0.33
N (-0.2374, -0.7650, 1.8815)  -0.10
C (0.8990, 0.0877, 2.2645)  -0.13
C (1.0566, 0.9924, 1.0192)  -0.13
C (0.4648, 0.1803, -0.1441)  -0.16
C (-0.2420, -1.0698, 0.4532)  -0.14
O (-0.3714, -1.7314, 3.9461)  0.04
H (-1.5714, -2.2589, 2.4217)  0.14
H (0.6529, 0.6406, 3.1601)  0.11
H (1.7415, -0.5591, 2.5163)  0.12
H (2.1141, 1.1270, 0.7854)  0.12
H (0.5688, 1.9428, 1.1807)  0.08
H (1.1096, -0.1619, -0.9416)  0.09
H (-0.2978, 0.8296, -0.5508)  0.07
H (0.2369, -1.9827, 0.1163)  0.09
H (-1.2579, -1.0773, 0.0535)  0.12
H (0.6025, -2.6859, -1.8408)  0.01
H (-0.2976, -1.5925, -2.4775)  -0.01
O (-0.0507, -2.5360, -2.5277)  -0.07
H (-2.0554, 0.6512, -2.5586)  -0.01
H (-3.1830, 0.6973, -1.5713)  0.03
O (-2.7699, 1.2300, -2.2591)  -0.06
H (-0.5357, 4.0615, 0.5612)  0.05
H (-1.7862, 3.2361, 0.2831)  0.02
O (-1.1188, 3.7802, -0.1489)  -0.05
H (1.8335, -2.3515, 1.4991)  0.01
H (2.4770, -2.1210, 0.1928)  0.02
O (2.3701, -2.8228, 0.8525)  -0.04
H (0.0082, 0.3256, -3.8965)  0.08
H (-0.0578, 0.9988, -2.5872)  0.03
O (-0.2705, 0.1150, -3.0032)  -0.09
H (-1.3568, 1.9427, 2.5687)  0.04
H (-2.7197, 1.4983, 1.9685)  0.06
O (-2.0265, 2.1615, 1.9161)  -0.03
H (0.1672, 2.5133, -0.9612)  0.00
H (-0.0035, 3.3030, -2.1669)  0.06
O (0.4551, 2.5085, -1.8889)  -0.06
H (3.4017, -2.1909, -2.2848)  0.05
H (2.1236, -1.7044, -3.1237)  0.03
O (2.7058, -1.5401, -2.3792)  -0.05

Its relative energy (zero: lowest compared OMol25 entry of this formula, charge and spin) is 1.2449 eV. Its HOMO-LUMO gap is 9.91 eV. The value obtained for the HOMO energy is -0.364 hartree. Its SMILES is O=CN1CCCC1.O.O.O.O.O.O.O.O.



ORCA calculation (ωB97M-V/def2-TZVPD) on a 7-piece molecular cluster, C5H26N2O6 overall at a distorted geometry.

Each line ends with the Löwdin charge.
Positions of all 39 atoms, in Å:
C (-0.6021, 2.0062, -0.4394)  -0.26
C (-1.9911, 1.5019, 0.0268)  -0.20
C (-2.3589, 0.0188, 0.0290)  -0.17
C (-1.4052, -0.8696, -0.7684)  -0.24
N (-0.2510, -1.2879, 0.0345)  -0.13
C (0.5004, -2.3434, -0.6272)  -0.12
N (-0.5655, 2.2288, -1.8924)  0.00
H (-0.4044, 2.8144, 0.2493)  0.11
H (0.1729, 1.3031, -0.1474)  0.06
H (-2.1912, 1.9811, 1.0404)  0.12
H (-2.6531, 2.1859, -0.5019)  0.10
H (-2.2895, -0.4385, 1.0179)  0.09
H (-3.4049, -0.0505, -0.3505)  0.12
H (-1.9446, -1.6944, -1.2258)  0.12
H (-1.0524, -0.3513, -1.6674)  0.10
H (0.3728, -0.5138, 0.1913)  0.04
H (1.5954, -2.2207, -0.4757)  0.09
H (0.1356, -3.3323, -0.2267)  0.09
H (0.3872, -2.3323, -1.7293)  0.08
H (-1.3604, 1.7646, -2.3054)  0.06
H (-0.5679, 3.1990, -2.1781)  0.07
H (-1.1508, -3.2073, 1.4806)  0.02
H (-0.1131, -2.4235, 2.1109)  0.00
O (-0.8231, -3.0302, 2.3681)  -0.06
H (1.2880, -0.8271, 2.3079)  0.01
H (1.9542, 0.5475, 2.8732)  0.06
O (2.0033, -0.1963, 2.2660)  -0.04
H (4.4031, 0.0247, 1.6214)  0.02
H (3.7523, 0.8913, 0.5078)  -0.02
O (4.3971, 0.9109, 1.2515)  -0.09
H (0.0514, 1.5621, -4.2254)  0.01
H (0.7642, 0.3656, -3.7035)  0.01
O (0.2045, 0.6361, -4.4345)  -0.06
H (2.1128, 0.3259, -0.3974)  0.01
H (2.5639, 1.0183, -1.6870)  0.06
O (2.8916, 0.5129, -0.9367)  -0.03
H (-1.9645, 0.4123, 3.3087)  0.03
H (-1.2039, -1.0098, 3.4956)  0.00
O (-1.2532, -0.0828, 3.7392)  -0.06

Its relative energy (zero: lowest compared OMol25 entry of this formula, charge and spin) is 2.2311 eV. Its HOMO-LUMO gap is 10.10 eV. The value obtained for the HOMO energy is -0.360 hartree. Its SMILES is CNCCCCN.O.O.O.O.O.O.



Copy entry 1 word for word.
ORCA calculation (ωB97M-V/def2-TZVPD) on a 9-piece molecular cluster, C5H25NO9 overall at a distorted geometry.

Each line ends with the Löwdin charge.
Positions of all 40 atoms, in Å:
C (-0.7035, -1.6824, 2.7815)  -0.33
N (-0.2374, -0.7650, 1.8815)  -0.10
C (0.8990, 0.0877, 2.2645)  -0.13
C (1.0566, 0.9924, 1.0192)  -0.13
C (0.4648, 0.1803, -0.1441)  -0.16
-- stop --

**Work order:**
Give back the lines earlier on up to the one that holds "(0.0082, 0.3256,", that line included.

**Written answer:**
ORCA calculation (ωB97M-V/def2-TZVPD) on a 9-piece molecular cluster, C5H25NO9 overall at a distorted geometry.

Each line ends with the Löwdin charge.
Positions of all 40 atoms, in Å:
C (-0.7035, -1.6824, 2.7815)  -0.33
N (-0.2374, -0.7650, 1.8815)  -0.10
C (0.8990, 0.0877, 2.2645)  -0.13
C (1.0566, 0.9924, 1.0192)  -0.13
C (0.4648, 0.1803, -0.1441)  -0.16
C (-0.2420, -1.0698, 0.4532)  -0.14
O (-0.3714, -1.7314, 3.9461)  0.04
H (-1.5714, -2.2589, 2.4217)  0.14
H (0.6529, 0.6406, 3.1601)  0.11
H (1.7415, -0.5591, 2.5163)  0.12
H (2.1141, 1.1270, 0.7854)  0.12
H (0.5688, 1.9428, 1.1807)  0.08
H (1.1096, -0.1619, -0.9416)  0.09
H (-0.2978, 0.8296, -0.5508)  0.07
H (0.2369, -1.9827, 0.1163)  0.09
H (-1.2579, -1.0773, 0.0535)  0.12
H (0.6025, -2.6859, -1.8408)  0.01
H (-0.2976, -1.5925, -2.4775)  -0.01
O (-0.0507, -2.5360, -2.5277)  -0.07
H (-2.0554, 0.6512, -2.5586)  -0.01
H (-3.1830, 0.6973, -1.5713)  0.03
O (-2.7699, 1.2300, -2.2591)  -0.06
H (-0.5357, 4.0615, 0.5612)  0.05
H (-1.7862, 3.2361, 0.2831)  0.02
O (-1.1188, 3.7802, -0.1489)  -0.05
H (1.8335, -2.3515, 1.4991)  0.01
H (2.4770, -2.1210, 0.1928)  0.02
O (2.3701, -2.8228, 0.8525)  -0.04
H (0.0082, 0.3256, -3.8965)  0.08